Myanmar refugees pave the way home in pilot return

After decades in exile, 71 refugees have returned from Thailand to Myanmar, feeling both joy and trepidation about their future.

=====
Computed, not measured: C11H6CrN2O6 as an isolated structure, with ωB97M-V/def2-TZVPD.

Its total charge is +2. For the energy above the lowest of the compared OMol25 structures with the same formula, charge and spin, the calculation gives 0.1157 eV. The calculation puts the frontier orbital gap (alpha / beta) at 7.88 / 4.91 eV. The spin multiplicity is 5.

Cartesian coordinates (Å):
O -0.16035 -0.33609 -7.99131
C -0.15959 -0.11816 -6.85090
Cr -0.09911 -0.33852 -1.85612
O 1.81140 -2.64889 -1.76765
C 1.04630 -1.79936 -1.99848
C -1.27010 1.20150 -1.75464
O -1.82522 2.03969 -1.26051
C -1.61153 -1.38771 -2.03139
O -2.62270 -1.94411 -1.88966
C 1.42396 0.76092 -1.86790
O 2.29256 1.44333 -1.53026
N 0.47364 2.12147 3.83197
C 0.41251 2.05643 2.45148
O 0.56905 3.00665 1.71999
C 0.09392 0.67406 1.95825
C -0.07867 -0.57736 2.64191
C -0.28332 -1.85481 2.08356
C -0.26910 -1.82284 0.65116
N -0.15606 -0.63291 0.08937
C -0.01371 0.57617 0.56946
H 0.73032 2.97034 4.23079
H 0.50479 1.22247 4.35814
H -0.05289 -0.52259 3.70388
H -0.43876 -2.80746 2.64348
H -0.35031 -2.70271 -0.01824
H 0.03295 1.42050 -0.11638

Atoms 1-3, force components in eV/Å:
0.0 0.9 4.5
0.0 -0.9 -4.5
-0.2 0.8 -1.4

Computed, not measured: C11H78NO27 as an isolated structure, with ωB97M-V/def2-TZVPD.

Its total charge is +1. For the energy above the lowest of the compared OMol25 structures with the same formula, charge and spin, the calculation gives 4.2485 eV. The calculation puts the frontier orbital gap at 9.21 eV.

Cartesian coordinates (Å):
C -2.97701 0.94914 2.54803
C -2.57901 0.90514 1.09203
C -1.24901 0.22014 0.86903
C -0.69101 0.30014 -0.46597
N 0.48299 -0.58486 -0.60297
C 1.01999 -0.54186 -2.02197
C 1.62499 -1.89686 -2.29797
C 0.61199 -2.78886 -1.71797
C 0.09599 -2.06486 -0.44297
C 1.64499 -0.41586 0.40803
C 2.05499 1.00114 0.52103
C 3.32899 1.05214 1.52703
H -3.97901 1.27614 2.50903
H -2.49401 1.74314 3.10603
H -2.95901 0.00814 3.20403
H -2.42601 1.96114 0.65403
H -3.55401 0.38414 0.71303
H -1.48401 -0.84186 1.05803
H -0.67401 0.65214 1.72903
H -0.40501 1.34114 -0.70097
H -1.48501 0.08014 -1.27497
H 1.69999 0.30514 -2.20297
H 0.06999 -0.39786 -2.71197
H 2.66099 -2.03886 -1.86997
H 1.59199 -2.27086 -3.36497
H 0.84699 -3.90686 -1.45897
H -0.24801 -3.00586 -2.28997
H 0.39799 -2.53986 0.55703
H -0.98401 -2.46086 -0.71797
H 2.40599 -1.16686 0.35303
H 1.23099 -0.78186 1.34903
H 1.35699 1.75414 0.74403
H 2.61099 1.49214 -0.43297
H 4.15199 0.30614 1.22603
H 3.12799 0.83114 2.47103
H 3.93599 2.00214 1.30903
O 0.72499 3.72714 -2.51097
H 0.37099 3.84514 -1.54497
H 0.36999 4.36714 -3.13597
O 2.30699 -3.07286 2.45703
H 1.66299 -2.51486 3.03803
H 3.24399 -2.76386 2.43403
O 6.01299 3.48114 0.92103
H 6.30899 4.29014 1.00703
H 5.74299 3.18514 0.03303
O -0.41301 3.78214 0.15503
H 0.11299 4.31414 0.73303
H -1.32101 4.16614 0.50203
O 0.18799 -2.26186 -4.94297
H 0.75999 -2.95586 -5.11497
H -0.44801 -2.53986 -5.65397
O 1.45199 -5.77386 -3.39997
H 2.09099 -5.15586 -3.04697
H 1.86799 -6.57586 -3.06097
=====

UNHCR Thailand staff say emotional farewells as the five buses carrying refugees home to Myanmar reach the border crossing point. ; Thailand is home to over 100,000 Myanmar refugees, living in nine camps along the Thailand-Myanmar border. They first arrived in the early 1980s after fleeing ethnic conflict. In late October 2016, a voluntary pilot scheme was launched offering refugees safe return to Myanmar. Supported by the governments of both countries, the numbers of people taking up the offer were small to begin with, but if the first returnees are successfully reintegrated – with the help of UNHCR, the World Food Programme and local authorities and agencies on the ground – it is hoped this will encourage further repatriation and a resolution to one of Asia’s longest-running refugee situations.

MYAWADDY BORDER CROSSING, Myanmar – More than 70 refugees have arrived safely back in Myanmar in the first voluntary return organized by the governments of Thailand and Myanmar in over 30 years.

Earlier this week, a total of 71 refugees left Thailand’s Tham Hin and Nupo camps to return home to Yangon, Tanintharyi region, Kayin, Bago, Mon and Rakhine states.

The return from Nupo camp started early on Wednesday. Shuffling at dawn, 65 refugees pushed carts piled high with bags containing their worldly possessions – mostly clothing and household items, with the occasional bicycle and wheelchair. They received an assistance package to help with their return and initial reintegration, before boarding trucks that would take them on a winding five-hour drive to the Mae Sot-Myawaddy border crossing point. As friends and relatives clung on to say goodbye, many started crying at the thought of leaving behind the only life they’ve known in recent years and moving on to a new chapter.

“I’ve been waiting for years for the government to welcome us back. The day has finally come.”

One man, however, was grinning. “I’ve been waiting for years for the government to welcome us back. The day has finally come,” said a betel-nut seller who is heading to central Myanmar with his wife and two children.

“I’m very excited as I think things will be better there,” he added. “But at the same time I’m worried about how we’ll be treated in Myanmar, how we’ll survive in the future.”

Attached: data records =
Here is one molecule with the formula C20H24N2O3 from the Open Molecules 2025 dataset. Energies are from ωB97M-V with the def2-TZVPD basis set.

- total energy (Eh) = -1111.74142
- HOMO-LUMO gap (eV) = 8.60
- SMILES = Cc1ccc(OCC(=O)Nc2ccc(CN3CCOCC3)cc2)cc1
- ΔE to the lowest compared entry with this formula, charge and spin (eV) = 2.352
- multiplicity = 1
- max |F| (hartree/bohr) = 0.0099
- HOMO (eV) = -7.92

Geometry as XYZ:
```
49
Properties=species:S:1:pos:R:3:nbo_charge:R:1
C -3.6767 -5.7643 1.8118 -0.62
C -3.7530 -4.2803 1.6165 -0.05
C -4.5629 -3.7374 0.6238 -0.18
C -4.6366 -2.3738 0.4336 -0.28
C -3.8947 -1.5128 1.2391 0.36
O -4.0368 -0.1699 0.9738 -0.52
C -3.4762 0.7426 1.8878 -0.17
C -1.9444 0.8359 1.8146 0.65
O -1.2790 1.1530 2.7750 -0.60
N -1.4842 0.5541 0.5730 -0.60
C -0.1685 0.5272 0.1020 0.15
C 0.9320 0.7102 0.9329 -0.25
C 2.2072 0.6645 0.4015 -0.14
C 2.4208 0.4525 -0.9556 -0.07
C 3.8181 0.4468 -1.5330 -0.23
N 4.3767 1.7195 -1.9500 -0.44
C 4.7394 2.6695 -0.9166 -0.25
C 3.6063 3.6369 -0.5448 -0.09
O 3.1070 4.2957 -1.6906 -0.53
C 2.6249 3.3598 -2.6312 -0.09
C 3.7381 2.3945 -3.0625 -0.25
C 1.3132 0.2580 -1.7736 -0.19
C 0.0337 0.2925 -1.2559 -0.24
C -3.0716 -2.0403 2.2235 -0.32
C -3.0112 -3.4128 2.4028 -0.18
H -3.0391 -6.2119 1.0489 0.22
H -3.2613 -6.0065 2.7868 0.22
H -4.6637 -6.2144 1.7278 0.22
H -5.1483 -4.3934 -0.0039 0.21
H -5.2701 -1.9500 -0.3300 0.22
H -3.7694 0.5202 2.9201 0.21
H -3.8880 1.7202 1.6148 0.22
H -2.1941 0.3200 -0.1121 0.41
H 0.7833 0.8848 1.9852 0.25
H 3.0540 0.7937 1.0605 0.20
H 4.5106 0.0305 -0.7949 0.20
H 3.8363 -0.2018 -2.4154 0.20
H 5.0788 2.1312 -0.0310 0.20
H 5.5765 3.2605 -1.3086 0.20
H 3.9773 4.4217 0.1169 0.19
H 2.7880 3.0983 -0.0446 0.17
H 2.2720 3.9429 -3.4840 0.19
H 1.7802 2.8025 -2.1987 0.17
H 3.3449 1.6541 -3.7599 0.20
H 4.5152 2.9779 -3.5715 0.20
H 1.4525 0.0740 -2.8295 0.21
H -0.8169 0.1352 -1.9047 0.21
H -2.4716 -1.4026 2.8536 0.23
H -2.3688 -3.8087 3.1760 0.21
```

* * * * *

Such mixed feelings were common among the returnees, who expressed confidence in Myanmar’s reforms, and uncertainty over how they would cope back home.

“What will happen when the assistance money runs out?” asked returnee Pu Let, referring to the assistance packages provided by the Myanmar government, UNHCR, the World Food Programme, Myanmar Red Cross Society and other agencies. His in-laws have some land in Kayin state, and he hoped they could grow enough crops to feed themselves.

Livelihood was less of a concern for Yangon-bound Thant Zin Maung, 48. With the 15 certificates he acquired in the camp for trainings such as cooking, sewing, business and auto repair, he plans to use his return assistance to set up a small business. His first priority, however, is to enrol his two sons in school and to seek treatment for his wife’s health problems.

As the refugees crossed back into Myanmar in the afternoon heat, many were exhausted but visibly emotional as government officials welcomed them back at a processing centre in the border town of Myawaddy.

Naw Lah Kyi, 72, was reunited with her son who works in Myawaddy. After five years apart, she was relieved to see him as he supported her to the centre’s clinic to monitor her high blood pressure.

Maung Saw Schwe, 63, is also heading back to his wife and three children in western Myanmar. Asked if he would hug his wife upon his return, he smiled, “I’m too old for that. After I drop off my luggage, I will contact my old colleagues. I have a lot to catch up with as I want to do more for my people.”

== Unrelated to this text: calculated molecules ==
+++
The following is a DFT calculation (ωB97M-V/def2-TZVPD) of 7 unconnected molecules or ions with the total composition C7H28N14O7 in a non-equilibrium geometry.

Each line ends with the Mulliken charge.
Element x y z (Å)
O 4.64 -1.89 2.30  -0.629
O -1.95 -2.24 1.43  -0.577
O -2.08 2.79 1.38  -0.667
O 2.01 -0.48 1.05  -0.868
O -2.42 -2.36 -2.26  -0.644
O 2.34 1.31 -3.65  -0.642
O -1.23 2.06 -1.57  -0.615
N 4.75 -2.24 4.45  -0.461
N -3.27 1.90 2.96  -0.425
N 4.54 1.06 -3.36  -0.432
N -2.75 -0.37 -1.55  -0.187
N -4.45 -1.43 -2.44  -0.388
N -0.04 -2.25 2.38  -0.310
N 2.87 -2.02 3.49  -0.251
N -2.05 3.15 -3.36  -0.430
N -0.01 3.37 -2.88  -0.284
N 0.00 0.36 0.64  0.095
N -3.05 0.76 1.14  -0.201
N 1.43 0.43 -0.86  -0.032
N -1.69 -2.58 3.67  -0.411
N 3.35 -0.61 -4.02  -0.405
C -1.08 2.84 -2.47  0.522
C 1.18 0.13 0.36  0.621
C -2.81 1.89 1.77  0.748
C 4.16 -2.12 3.36  0.553
C 3.32 0.63 -3.58  0.698
C -3.17 -1.47 -2.10  0.619
C -1.33 -2.48 2.42  0.602
H -3.02 2.88 -3.39  0.182
H -0.48 0.01 1.45  0.170
H 0.88 3.18 -2.43  0.199
H 0.01 4.04 -3.63  0.126
H 5.22 0.31 -3.29  0.167
H 5.74 -2.06 4.39  0.262
H 2.40 -2.18 4.37  0.110
H -4.97 -2.13 -2.95  0.209
H -0.40 1.14 0.14  -0.024
H 4.30 -0.94 -4.07  0.141
H 2.39 0.27 -1.11  0.032
H -3.56 -0.01 1.54  0.184
H 0.42 -1.91 1.55  0.194
H 0.76 0.91 -1.45  -0.014
H 2.38 -1.55 2.74  0.316
H -3.78 1.10 3.31  0.143
H -1.04 -2.66 4.44  0.147
H -1.71 3.86 -4.00  0.095
H -4.91 -0.65 -2.01  0.152
H 4.20 -1.85 5.20  0.194
H -2.63 0.77 0.22  0.269
H -1.79 -0.14 -1.32  -0.017
H -3.40 0.40 -1.47  0.086
H 0.35 -2.06 3.29  0.147
H -2.69 -2.63 3.81  0.207
H -3.06 2.71 3.52  0.261
H 4.60 1.96 -2.91  0.225
H 2.60 -0.88 -4.65  0.240

The calculation puts the lowest unoccupied orbital energy at 0.49 eV. The value obtained for the HOMO-LUMO gap is 9.4111 eV. The relative energy (zero: lowest compared OMol25 entry of this formula, charge and spin) comes out at 575.2 kJ/mol. Its SMILES is NC(N)=O.NC(N)=O.NC(N)=O.NC(N)=O.NC(N)=O.NC(N)=O.NC(N)=O. The HOMO energy comes out at -8.923 eV.
+++

“I hope that in five years … I’ll be successful in business with the skills I learnt as a refugee.”

On Thursday, the returnees underwent health and document checks for national identity cards at the Myawaddy centre. Some of them were then assisted to their final destinations in Yangon, Mawlamyine and Sittwe.

As 45-year-old grandmother Ei Pay sat waiting for transportation home to Kayin state’s Mae Pra area, she shared that she and her husband had actually visited the area four months ago to start planting vegetables. They came back last weekend to escort their 11-member extended family home.

“Our village is peaceful now, no problem,” she said. “There’s more freedom there than in the camp. We can grow our own food. In fact, I put on some weight there because my appetite was so good!”

Yangon returnee Thant Zin Maung has called his sister, who is cleaning up a place for him in Myanmar’s commercial capital. “I hope that in five years, my wife will be walking, my children doing well in school and that I’ll be successful in business with the skills I learnt as a refugee,” he said.

This week’s pilot voluntary return programme was supported by Thailand and Myanmar, as well as UNHCR and its partners, which include the International Organization for Migration and Handicap International. While modest in number, there is hope that these returns will help to build peace and pave the way for lasting solutions to one of Asia’s longest-running refugee situations.